**Job**
Next, filter the rows below: keep the lines with the word "from".
**Listing**
____________
An isolated molecule of C4H10FN, computed with ωB97M-V/def2-TZVPD.

Results
Gap between HOMO and LUMO = 10.7 eV
E_LUMO = 0.99 eV
SMILES = CC(C)(N)CF
Multiplicity = 1

XYZ file:
```
16
C4H10FN ωB97M-V/def2-TZVPD
C 0.0524 1.2254 -0.9081
C -0.0980 -0.0855 -0.1222
C -0.4212 0.2913 1.3621
N -1.1006 -0.9966 -0.6585
C 1.1791 -0.8527 -0.2476
F 2.3431 -0.1110 0.0928
H 0.4109 1.0603 -1.9448
H -0.8804 1.7820 -0.9188
H 0.8362 1.8435 -0.3704
H 0.4324 0.7909 1.8955
H -1.2576 0.9525 1.3988
H -0.7442 -0.5680 1.9488
H -1.1346 -1.8268 -0.1288
H -2.0125 -0.5759 -0.5891
H 1.2981 -1.2202 -1.2551
H 1.0970 -1.7093 0.4455
```

Atomic partial charges in e from the natural (NBO) method, atoms 1 to 8: atom 1 (C): -0.61, atom 2 (C): 0.06, atom 3 (C): -0.63, atom 4 (N): -0.83, atom 5 (C): 0.06, atom 6 (F): -0.38, atom 7 (H): 0.22, atom 8 (H): 0.21

***

A cluster of 2 separate species, C4H10FNP in total, computed with ωB97M-V/def2-TZVPD.

Results
Gap between HOMO and LUMO (alpha / beta) = 7.8 / 7.8 eV
E_LUMO (alpha / beta) = -4.57 / -4.57 eV
Total charge = +1
Multiplicity = 1

XYZ file:
```
17
C4H10FNP ωB97M-V/def2-TZVPD
C -2.6914 1.0735 0.2761
C -1.5499 0.2892 0.1279
C -0.0471 0.1996 0.3540
C -1.9269 -1.0281 -0.5198
N 3.4545 -0.4194 -0.0083
F 0.6315 -0.9995 0.4548
P 1.0302 1.6007 0.3032
H -2.5617 2.0012 0.8036
H -3.6492 0.6235 -0.0542
H -2.3297 -1.6835 0.1668
H -1.0174 -1.5959 -0.9413
H -2.7273 -0.8985 -1.2406
H 4.3548 -0.1245 -0.3524
H 2.8089 -0.4937 -0.7879
H 3.4534 -1.3735 0.3465
H 0.0319 2.5869 0.4422
H 2.7355 0.2420 0.6295
```

Atomic partial charges in e from the natural (NBO) method, atoms 1 to 8: atom 1 (C): -0.28, atom 2 (C): -0.14, atom 3 (C): 0.17, atom 4 (C): -0.64, atom 5 (N): -0.92, atom 6 (F): -0.36, atom 7 (P): 0.19, atom 8 (H): 0.21

***

A structure of composition C4H10FOP, computed with ωB97M-V/def2-TZVPD.

Results
Gap between HOMO and LUMO = 10.8 eV
E_LUMO = 0.76 eV
Multiplicity = 1

XYZ file:
```
17
C4H10FOP ωB97M-V/def2-TZVPD
C 1.2722 -1.9100 -0.5180
C -1.9195 0.0324 -0.2828
C 0.0036 2.0379 0.7863
C 1.0299 -0.3811 -0.4934
O -0.4423 -0.4316 1.9115
F 2.0887 0.3476 -0.1547
P -0.3137 0.2014 0.6465
H 1.8417 -2.1798 -1.4301
H 1.9483 -2.0746 0.3671
H 0.2370 -2.4058 -0.5444
H -2.1137 -0.9996 -0.3029
H -2.5223 0.5755 0.4096
H -1.8799 0.2917 -1.3465
H 0.7885 1.9127 1.6699
H 0.2212 2.5046 -0.1011
H -0.9894 2.3663 1.1681
H 0.7496 0.1123 -1.7852
```

Atomic partial charges in e from the natural (NBO) method, atoms 1 to 8: atom 1 (C): -0.67, atom 2 (C): -0.99, atom 3 (C): -0.98, atom 4 (C): -0.08, atom 5 (O): -1.10, atom 6 (F): -0.36, atom 7 (P): 1.90, atom 8 (H): 0.22

***

A structure of composition C4H10I2N, computed with ωB97M-V/def2-TZVPD.

Results
Gap between HOMO and LUMO = 7.3 eV
E_LUMO = -5.02 eV
Total charge = +1
Multiplicity = 1

XYZ file:
```
17
C4H10I2N ωB97M-V/def2-TZVPD
C -2.0192 1.3148 1.9377
C 1.2527 -0.9459 0.4013
C 1.0732 0.7198 -1.4849
C -0.6306 -1.0164 -1.3095
N 0.7847 -0.6976 -1.0244
I -1.2751 -2.9420 -0.6596
I -2.0467 0.6907 -0.1969
H -1.2602 0.5308 2.3382
H -1.5939 2.3265 1.8964
H -2.9579 1.3762 2.5225
H 0.6799 -0.3866 1.0931
H 1.2989 -2.0794 0.7035
H 2.2102 -0.4543 0.3514
H 0.9450 1.3995 -0.6486
H 1.9008 0.7051 -2.1196
H 0.2657 0.7599 -2.1840
H 1.3724 -1.3012 -1.6168
```

Atomic partial charges in e from the natural (NBO) method, atoms 1 to 8: atom 1 (C): -0.73, atom 2 (C): -0.43, atom 3 (C): -0.41, atom 4 (C): -0.28, atom 5 (N): -0.52, atom 6 (I): 0.27, atom 7 (I): 0.47, atom 8 (H): 0.23

***

A structure of composition C4H10I2N, computed with ωB97M-V/def2-TZVPD.

Results
Gap between HOMO and LUMO = 8.9 eV
E_LUMO = -5.05 eV
Total charge = +1
Multiplicity = 1

XYZ file:
```
17
C4H10I2N ωB97M-V/def2-TZVPD
C 1.2949 0.7412 -1.5397
C -0.4627 0.0676 1.7360
C 0.6099 -0.2655 -0.5256
C -2.3179 -0.2048 -0.5361
N -0.4493 0.3468 0.3485
I -2.6708 -2.1420 0.2702
I -3.5450 1.4279 -0.1681
H 0.9107 0.4752 -2.6140
H 1.4956 1.7649 -1.2594
H 2.3335 0.2591 -1.6692
H 0.5800 0.0394 2.1405
H -1.0698 0.6759 2.4020
H -0.7315 -1.0311 1.7147
____________
**Result**
Atomic partial charges in e from the natural (NBO) method, atoms 1 to 8: atom 1 (C): -0.61, atom 2 (C): 0.06, atom 3 (C): -0.63, atom 4 (N): -0.83, atom 5 (C): 0.06, atom 6 (F): -0.38, atom 7 (H): 0.22, atom 8 (H): 0.21
Atomic partial charges in e from the natural (NBO) method, atoms 1 to 8: atom 1 (C): -0.28, atom 2 (C): -0.14, atom 3 (C): 0.17, atom 4 (C): -0.64, atom 5 (N): -0.92, atom 6 (F): -0.36, atom 7 (P): 0.19, atom 8 (H): 0.21
Atomic partial charges in e from the natural (NBO) method, atoms 1 to 8: atom 1 (C): -0.67, atom 2 (C): -0.99, atom 3 (C): -0.98, atom 4 (C): -0.08, atom 5 (O): -1.10, atom 6 (F): -0.36, atom 7 (P): 1.90, atom 8 (H): 0.22
Atomic partial charges in e from the natural (NBO) method, atoms 1 to 8: atom 1 (C): -0.73, atom 2 (C): -0.43, atom 3 (C): -0.41, atom 4 (C): -0.28, atom 5 (N): -0.52, atom 6 (I): 0.27, atom 7 (I): 0.47, atom 8 (H): 0.23